# Source
-- begin --
Record 1
One molecule with the formula C8H10N2O2, computed with ωB97M-V with the def2-TZVPD basis set.

```
22
Properties=species:S:1:pos:R:3:mulliken_charge:R:1
C 1.34 0.27 -0.47 -0.516
C 0.68 1.51 -0.91 -0.258
C -0.59 -1.24 -0.21 -0.137
C 0.73 -0.92 -0.13 0.698
C -0.56 1.89 -0.60 -0.829
C -1.31 1.02 0.45 0.102
C -1.60 -0.34 -0.02 0.118
C 1.67 -2.17 0.10 -1.786
N -2.46 1.65 0.91 -0.800
N -2.94 -0.73 -0.23 0.939
O -3.28 -1.79 0.12 -0.598
O -3.62 0.06 -0.90 -0.614
H 2.52 0.36 -0.55 0.193
H 1.11 2.21 -1.65 0.343
H -0.87 -2.24 -0.43 0.464
H -0.92 2.86 -0.88 0.400
H -0.37 1.06 1.06 0.408
H 2.61 -1.80 0.34 0.455
H 1.59 -2.63 -0.86 0.398
H 1.18 -2.87 0.74 0.414
H -3.25 1.64 0.21 0.316
H -2.91 1.22 1.72 0.290
```

Computed properties:
**Largest force on an atom**: 5.18 eV/Å
**Frontier orbital gap**: 8.074 eV
**LUMO**: -0.65 eV
**Structure (SMILES)**: CC1=CC=C[C@@H](N)C([N+](=O)[O-])=C1
**Highest occupied orbital energy**: -8.720 eV

***

Record 2
One molecule with the formula C8H10N2O2, computed with ωB97M-V with the def2-TZVPD basis set.

```
22
Properties=species:S:1:pos:R:3:mulliken_charge:R:1
C 0.40 2.11 1.55 -0.637
C 1.26 1.38 0.53 -1.004
C 0.77 0.09 -0.03 0.635
C 0.76 -1.11 0.71 -0.512
C -0.06 -2.17 0.19 -0.244
C -0.53 -2.02 -1.02 0.149
C -0.63 -0.75 -1.72 -0.132
C -0.03 0.31 -1.21 -0.647
H -0.39 3.38 0.42 0.258
H -1.85 2.30 1.37 0.293
H 0.15 1.36 2.43 0.292
H 1.15 2.78 1.97 0.298
H 2.40 1.40 0.85 0.408
H 1.55 2.11 -0.30 0.395
H 1.28 -1.18 1.70 0.390
H -0.36 -3.04 0.80 0.385
H -1.51 -0.45 -2.39 0.260
H -0.43 1.41 -1.45 0.132
N -0.75 2.84 1.25 -0.493
N -0.97 -3.29 -1.69 0.935
O -0.62 -4.34 -1.25 -0.568
O -1.59 -3.13 -2.74 -0.592
```

Computed properties:
**Largest force on an atom**: 5.56 eV/Å
**Frontier orbital gap**: 8.772 eV
**LUMO**: -0.34 eV
**Structure (SMILES)**: NCCc1ccc([N+](=O)[O-])cc1
**Highest occupied orbital energy**: -9.116 eV

***

Record 3
One molecule with the formula C8H10N2O2S, computed with ωB97M-V with the def2-TZVPD basis set.

```
23
Properties=species:S:1:pos:R:3:mulliken_charge:R:1
C 2.88 -0.97 -0.32 -0.617
C 3.40 0.17 0.22 -0.419
C 1.45 -1.10 -0.35 -0.577
C 2.55 1.27 0.36 -0.247
C 0.77 0.02 -0.01 0.376
C -1.58 1.08 0.48 0.278
C -2.61 -1.80 0.60 -0.694
C -0.94 -0.19 -0.15 0.668
N 1.26 1.21 0.18 -0.364
N -1.20 2.20 -0.18 -0.303
O -2.26 0.93 1.49 -0.625
O -1.28 -1.35 0.45 -0.448
S -1.23 -0.17 -1.96 -0.213
H 3.49 -1.72 -0.59 0.516
H 4.55 0.19 0.30 0.262
H 0.99 -2.01 -0.57 0.504
H 2.87 2.31 0.65 0.356
H -2.70 -2.14 1.55 0.324
H -2.98 -2.63 -0.16 0.193
H -3.15 -0.89 0.51 0.359
H -0.52 2.05 -0.97 0.278
H -1.26 3.02 0.26 0.206
H -2.50 0.53 -1.77 0.187
```

Computed properties:
**Largest force on an atom**: 5.14 eV/Å
**Frontier orbital gap**: 9.847 eV
**LUMO**: 0.65 eV
**Structure (SMILES)**: CO[C@@](S)(C(N)=O)c1ccccn1
**Highest occupied orbital energy**: -9.201 eV

***

Record 4
One molecule with the formula C8H10N2O2S, computed with ωB97M-V with the def2-TZVPD basis set.

```
23
Properties=species:S:1:pos:R:3:mulliken_charge:R:1
C 2.18 -1.76 -0.04 -0.087
C 1.28 -1.81 0.94 -1.012
C 2.58 -0.57 -0.80 -0.530
C 0.45 -0.54 1.21 0.702
C 1.85 0.51 -0.66 -0.535
C 0.70 0.63 0.16 0.451
C -1.48 1.73 0.59 -0.550
C -2.33 0.93 -0.40 -0.693
N -0.95 -0.97 -1.49 -0.561
N -0.18 1.57 0.04 -0.609
O -3.02 -1.52 -0.07 -0.650
O -0.97 -0.81 1.14 -0.468
S -1.87 -0.73 -0.31 1.067
H 2.69 -2.76 -0.25 0.248
H 1.11 -2.69 1.51 0.457
H 3.43 -0.69 -1.46 0.390
H 0.79 -0.04 2.18 0.356
H 2.06 1.43 -1.21 0.404
H -1.90 2.78 0.50 0.349
H -1.70 1.41 1.66 0.290
H -3.43 0.87 -0.40 0.431
H -2.00 1.37 -1.37 0.326
H -1.11 -1.78 -2.12 0.226
```

Computed properties:
**Largest force on an atom**: 4.34 eV/Å
**Frontier orbital gap**: 8.689 eV
**LUMO**: -0.18 eV
**Structure (SMILES)**: N=[S@]1(=O)CCN=C2C=CC=C[C@@H]2O1
**Highest occupied orbital energy**: -8.869 eV

***

Record 5
One molecule with the formula C8H10N2O4S, computed with ωB97M-V with the def2-TZVPD basis set.

```
25
Properties=species:S:1:pos:R:3:mulliken_charge:R:1
C 0.21 1.46 0.42 -0.937
-- stop --

# Wanted
What is needed: copy the notes further up from the line with "0.94 -1.012" to the end verbatim.

# Response
C 1.28 -1.81 0.94 -1.012
C 2.58 -0.57 -0.80 -0.530
C 0.45 -0.54 1.21 0.702
C 1.85 0.51 -0.66 -0.535
C 0.70 0.63 0.16 0.451
C -1.48 1.73 0.59 -0.550
C -2.33 0.93 -0.40 -0.693
N -0.95 -0.97 -1.49 -0.561
N -0.18 1.57 0.04 -0.609
O -3.02 -1.52 -0.07 -0.650
O -0.97 -0.81 1.14 -0.468
S -1.87 -0.73 -0.31 1.067
H 2.69 -2.76 -0.25 0.248
H 1.11 -2.69 1.51 0.457
H 3.43 -0.69 -1.46 0.390
H 0.79 -0.04 2.18 0.356
H 2.06 1.43 -1.21 0.404
H -1.90 2.78 0.50 0.349
H -1.70 1.41 1.66 0.290
H -3.43 0.87 -0.40 0.431
H -2.00 1.37 -1.37 0.326
H -1.11 -1.78 -2.12 0.226
```

Computed properties:
**Largest force on an atom**: 4.34 eV/Å
**Frontier orbital gap**: 8.689 eV
**LUMO**: -0.18 eV
**Structure (SMILES)**: N=[S@]1(=O)CCN=C2C=CC=C[C@@H]2O1
**Highest occupied orbital energy**: -8.869 eV

***

Record 5
One molecule with the formula C8H10N2O4S, computed with ωB97M-V with the def2-TZVPD basis set.

```
25
Properties=species:S:1:pos:R:3:mulliken_charge:R:1
C 0.21 1.46 0.42 -0.937